**Listing**
'''
141
Properties=species:S:1:pos:R:3 method="wB97M-V/def2-TZVPD" smiles="CCNC1=CC(=O)c2c(ccc(COO)c2B(N)O)C1=O.CCOS(C)(=O)=O.CCOS(C)(=O)=O.CCOS(C)(=O)=O.CCOS(C)(=O)=O.CCOS(C)(=O)=O.CCOS(C)(=O)=O.CCOS(C)(=O)=O" lumo_ev=-1.09 e_tot_ev=-169141.6508 mol_weight_g_mol=1159.21 largest_force_ev_per_a=2.5 total_charge=0
C 5.797 -1.836 0.867
C 6.576 -0.489 1.103
N 5.770 0.742 0.764
C 4.391 0.489 1.153
C 4.020 0.445 2.461
C 2.520 0.118 2.765
O 1.934 0.660 3.670
C 1.873 -0.905 1.786
C 2.272 -0.850 0.364
C 1.746 -1.735 -0.653
C 0.775 -2.734 -0.242
C 0.352 -2.834 1.165
C -0.668 -3.972 1.487
O -0.209 -5.145 0.757
O 1.046 -5.433 1.252
C 0.899 -1.917 2.185
B 0.428 -2.085 3.734
N -0.971 -1.982 4.194
O 1.415 -2.357 4.698
C 3.351 0.222 0.006
O 3.376 0.823 -1.044
H 5.169 -1.840 -0.063
H 6.495 -2.714 0.760
H 5.169 -2.079 1.768
H 7.575 -0.495 0.598
H 6.794 -0.444 2.214
H 6.144 1.485 1.364
H 4.739 0.604 3.300
H 2.127 -1.629 -1.690
H 0.362 -3.454 -0.990
H -1.724 -3.767 1.113
H -0.699 -4.281 2.561
H 1.727 -5.212 0.588
H -1.431 -2.888 4.085
H -1.463 -1.261 3.665
H 2.194 -1.789 4.579
C -4.454 -2.880 -3.039
C -5.515 -2.143 -2.245
O -5.925 -2.893 -1.091
S -4.959 -2.915 0.186
C -6.117 -3.606 1.327
O -4.671 -1.567 0.580
O -3.915 -3.879 -0.040
H -3.520 -2.949 -2.477
H -4.245 -2.363 -3.977
H -4.775 -3.899 -3.260
H -5.172 -1.146 -1.956
H -6.401 -2.011 -2.867
H -6.935 -2.903 1.467
H -5.596 -3.773 2.269
H -6.480 -4.552 0.929
C -4.494 -2.464 -8.325
C -5.698 -1.561 -8.520
O -6.918 -2.212 -8.142
S -7.257 -2.349 -6.580
C -8.946 -2.830 -6.761
O -7.208 -1.050 -5.974
O -6.524 -3.458 -6.044
H -4.318 -2.660 -7.266
H -3.596 -2.000 -8.736
H -4.652 -3.428 -8.810
H -5.580 -0.621 -7.976
H -5.792 -1.312 -9.577
H -9.500 -2.008 -7.210
H -9.337 -3.050 -5.769
H -8.994 -3.719 -7.386
C 0.607 2.500 0.072
C 1.330 3.311 -0.975
O 0.426 3.845 -1.954
S -0.457 5.124 -1.560
C -1.011 5.518 -3.190
O 0.414 6.167 -1.099
O -1.583 4.690 -0.789
H -0.035 3.125 0.694
H 1.327 2.002 0.724
H -0.034 1.749 -0.395
H 1.920 4.112 -0.521
H 2.024 2.662 -1.507
H -0.153 5.805 -3.794
H -1.711 6.349 -3.111
H -1.511 4.648 -3.611
C 1.601 8.271 1.032
C 3.022 8.737 1.291
O 3.440 9.729 0.343
S 2.903 11.233 0.522
C 4.013 11.994 -0.619
O 3.212 11.684 1.848
O 1.574 11.316 -0.008
H 0.885 9.072 1.225
H 1.349 7.429 1.678
H 1.477 7.971 -0.008
H 3.137 9.109 2.312
H 3.702 7.891 1.178
H 5.029 11.892 -0.244
H 3.745 13.046 -0.696
H 3.906 11.511 -1.588
C 0.500 -4.156 7.060
C 0.059 -5.498 6.509
O -0.813 -6.192 7.413
S -2.341 -5.716 7.508
C -2.949 -7.111 8.405
O -2.914 -5.722 6.192
O -2.416 -4.563 8.353
H -0.339 -3.462 7.126
H 1.255 -3.710 6.418
H 0.907 -4.267 8.068
H -0.416 -5.386 5.531
H 0.934 -6.134 6.370
H -2.852 -7.999 7.784
H -3.996 -6.926 8.638
H -2.375 -7.214 9.325
C -3.650 -7.088 0.838
C -3.190 -7.384 2.253
O -3.652 -8.664 2.709
S -2.902 -9.979 2.177
C -3.612 -11.115 3.328
O -1.500 -9.858 2.447
O -3.391 -10.293 0.867
H -3.173 -7.759 0.122
H -3.401 -6.065 0.559
H -4.729 -7.231 0.744
H -2.103 -7.316 2.337
H -3.613 -6.641 2.932
H -3.281 -10.854 4.331
H -3.266 -12.114 3.066
H -4.696 -11.064 3.250
C 9.502 9.393 -4.684
C 8.319 10.318 -4.898
O 7.081 9.692 -4.541
S 6.715 9.561 -2.983
C 5.019 9.112 -3.191
O 6.778 10.862 -2.379
O 7.416 8.438 -2.436
H 9.658 9.193 -3.623
H 10.415 9.840 -5.081
H 9.333 8.432 -5.172
H 8.446 11.256 -4.352
H 8.247 10.570 -5.957
H 4.488 9.943 -3.649
H 4.608 8.900 -2.203
H 4.965 8.223 -3.815

=====

121
Properties=species:S:1:pos:R:3 method="wB97M-V/def2-TZVPD" lumo_ev=-3.06 e_tot_ev=-74729.7397 mol_weight_g_mol=744.92 largest_force_ev_per_a=4.1 total_charge=+1
C 0.612 4.778 0.125
C 1.134 4.131 1.443
C 0.098 3.085 1.833
O 0.529 2.293 2.939
C -0.207 1.127 3.136
N 0.490 -0.095 2.677
C 1.006 -0.093 1.370
N 2.372 0.112 1.168
O 2.780 1.356 1.611
C 3.226 -0.988 1.644
C 3.335 -1.119 3.193
C 4.637 -0.960 1.037
C 4.767 -1.541 -0.371
C 4.444 -3.038 -0.463
N 0.277 -0.338 0.331
C -1.173 -0.655 0.423
C -2.124 0.492 0.118
C -3.587 -0.034 0.311
C -4.489 0.954 1.047
O -3.941 1.458 2.276
C -3.845 0.556 3.266
O -3.589 0.926 4.329
'''

**Wanted**
Could you type out all of the entries further above without altering anything?

**Response**
141
Properties=species:S:1:pos:R:3 method="wB97M-V/def2-TZVPD" smiles="CCNC1=CC(=O)c2c(ccc(COO)c2B(N)O)C1=O.CCOS(C)(=O)=O.CCOS(C)(=O)=O.CCOS(C)(=O)=O.CCOS(C)(=O)=O.CCOS(C)(=O)=O.CCOS(C)(=O)=O.CCOS(C)(=O)=O" lumo_ev=-1.09 e_tot_ev=-169141.6508 mol_weight_g_mol=1159.21 largest_force_ev_per_a=2.5 total_charge=0
C 5.797 -1.836 0.867
C 6.576 -0.489 1.103
N 5.770 0.742 0.764
C 4.391 0.489 1.153
C 4.020 0.445 2.461
C 2.520 0.118 2.765
O 1.934 0.660 3.670
C 1.873 -0.905 1.786
C 2.272 -0.850 0.364
C 1.746 -1.735 -0.653
C 0.775 -2.734 -0.242
C 0.352 -2.834 1.165
C -0.668 -3.972 1.487
O -0.209 -5.145 0.757
O 1.046 -5.433 1.252
C 0.899 -1.917 2.185
B 0.428 -2.085 3.734
N -0.971 -1.982 4.194
O 1.415 -2.357 4.698
C 3.351 0.222 0.006
O 3.376 0.823 -1.044
H 5.169 -1.840 -0.063
H 6.495 -2.714 0.760
H 5.169 -2.079 1.768
H 7.575 -0.495 0.598
H 6.794 -0.444 2.214
H 6.144 1.485 1.364
H 4.739 0.604 3.300
H 2.127 -1.629 -1.690
H 0.362 -3.454 -0.990
H -1.724 -3.767 1.113
H -0.699 -4.281 2.561
H 1.727 -5.212 0.588
H -1.431 -2.888 4.085
H -1.463 -1.261 3.665
H 2.194 -1.789 4.579
C -4.454 -2.880 -3.039
C -5.515 -2.143 -2.245
O -5.925 -2.893 -1.091
S -4.959 -2.915 0.186
C -6.117 -3.606 1.327
O -4.671 -1.567 0.580
O -3.915 -3.879 -0.040
H -3.520 -2.949 -2.477
H -4.245 -2.363 -3.977
H -4.775 -3.899 -3.260
H -5.172 -1.146 -1.956
H -6.401 -2.011 -2.867
H -6.935 -2.903 1.467
H -5.596 -3.773 2.269
H -6.480 -4.552 0.929
C -4.494 -2.464 -8.325
C -5.698 -1.561 -8.520
O -6.918 -2.212 -8.142
S -7.257 -2.349 -6.580
C -8.946 -2.830 -6.761
O -7.208 -1.050 -5.974
O -6.524 -3.458 -6.044
H -4.318 -2.660 -7.266
H -3.596 -2.000 -8.736
H -4.652 -3.428 -8.810
H -5.580 -0.621 -7.976
H -5.792 -1.312 -9.577
H -9.500 -2.008 -7.210
H -9.337 -3.050 -5.769
H -8.994 -3.719 -7.386
C 0.607 2.500 0.072
C 1.330 3.311 -0.975
O 0.426 3.845 -1.954
S -0.457 5.124 -1.560
C -1.011 5.518 -3.190
O 0.414 6.167 -1.099
O -1.583 4.690 -0.789
H -0.035 3.125 0.694
H 1.327 2.002 0.724
H -0.034 1.749 -0.395
H 1.920 4.112 -0.521
H 2.024 2.662 -1.507
H -0.153 5.805 -3.794
H -1.711 6.349 -3.111
H -1.511 4.648 -3.611
C 1.601 8.271 1.032
C 3.022 8.737 1.291
O 3.440 9.729 0.343
S 2.903 11.233 0.522
C 4.013 11.994 -0.619
O 3.212 11.684 1.848
O 1.574 11.316 -0.008
H 0.885 9.072 1.225
H 1.349 7.429 1.678
H 1.477 7.971 -0.008
H 3.137 9.109 2.312
H 3.702 7.891 1.178
H 5.029 11.892 -0.244
H 3.745 13.046 -0.696
H 3.906 11.511 -1.588
C 0.500 -4.156 7.060
C 0.059 -5.498 6.509
O -0.813 -6.192 7.413
S -2.341 -5.716 7.508
C -2.949 -7.111 8.405
O -2.914 -5.722 6.192
O -2.416 -4.563 8.353
H -0.339 -3.462 7.126
H 1.255 -3.710 6.418
H 0.907 -4.267 8.068
H -0.416 -5.386 5.531
H 0.934 -6.134 6.370
H -2.852 -7.999 7.784
H -3.996 -6.926 8.638
H -2.375 -7.214 9.325
C -3.650 -7.088 0.838
C -3.190 -7.384 2.253
O -3.652 -8.664 2.709
S -2.902 -9.979 2.177
C -3.612 -11.115 3.328
O -1.500 -9.858 2.447
O -3.391 -10.293 0.867
H -3.173 -7.759 0.122
H -3.401 -6.065 0.559
H -4.729 -7.231 0.744
H -2.103 -7.316 2.337
H -3.613 -6.641 2.932
H -3.281 -10.854 4.331
H -3.266 -12.114 3.066
H -4.696 -11.064 3.250
C 9.502 9.393 -4.684
C 8.319 10.318 -4.898
O 7.081 9.692 -4.541
S 6.715 9.561 -2.983
C 5.019 9.112 -3.191
O 6.778 10.862 -2.379
O 7.416 8.438 -2.436
H 9.658 9.193 -3.623
H 10.415 9.840 -5.081
H 9.333 8.432 -5.172
H 8.446 11.256 -4.352
H 8.247 10.570 -5.957
H 4.488 9.943 -3.649
H 4.608 8.900 -2.203
H 4.965 8.223 -3.815

=====

121
Properties=species:S:1:pos:R:3 method="wB97M-V/def2-TZVPD" lumo_ev=-3.06 e_tot_ev=-74729.7397 mol_weight_g_mol=744.92 largest_force_ev_per_a=4.1 total_charge=+1
C 0.612 4.778 0.125
C 1.134 4.131 1.443
C 0.098 3.085 1.833
O 0.529 2.293 2.939
C -0.207 1.127 3.136
N 0.490 -0.095 2.677
C 1.006 -0.093 1.370
N 2.372 0.112 1.168
O 2.780 1.356 1.611
C 3.226 -0.988 1.644
C 3.335 -1.119 3.193
C 4.637 -0.960 1.037
C 4.767 -1.541 -0.371
C 4.444 -3.038 -0.463
N 0.277 -0.338 0.331
C -1.173 -0.655 0.423
C -2.124 0.492 0.118
C -3.587 -0.034 0.311
C -4.489 0.954 1.047
O -3.941 1.458 2.276
C -3.845 0.556 3.266
O -3.589 0.926 4.329